## Job
Now repeat the calculation results underneath with every line break kept.

## Input
- - -
1.
# Sm2ZnPdO6
Simulated XRD peak list, λ = 1.5418 Å (Cu Kα). Input: the PBE geometry in Alexandria.
No peak broadening, texture or thermal motion is included.

Principal peaks in the range 2θ from 5° to 70°, by angle:
Position (°2θ)	Rel. int.
25.16	18
30.77	19
32.17	100
32.90	37
45.66	17
51.42	15
58.22	17
58.32	16

Structure:
```
data_Sm2ZnPdO6
_symmetry_space_group_name_H-M 'P 1 21/c 1'
_symmetry_Int_Tables_number 14
_symmetry_space_group_name_Hall '-P 2ybc'
_cell_length_a 5.4451
_cell_length_b 5.8117
_cell_length_c 9.4982
_cell_angle_alpha 90.00
_cell_angle_beta 124.87
_cell_angle_gamma 90.00
loop_
_atom_site_label
_atom_site_fract_x
_atom_site_fract_y
_atom_site_fract_z
Sm1 0.2297 0.0733 0.2508
Zn1 0.5000 0.0000 0.0000
Pd1 0.0000 0.0000 0.5000
O1 0.1284 0.2016 0.9421
O2 0.2502 0.6926 0.9449
O3 0.3599 0.0387 0.7478
```

=====

2.
# K2V3Se5
Simulated XRD peak list, λ = 1.5418 Å (Cu Kα). Input: the PBE geometry in Alexandria.
No peak broadening, texture or thermal motion is included.

Principal peaks in the range 2θ from 5° to 70°, by angle:
Position (°2θ)	Rel. int.
12.73	100
13.72	48
28.11	74
28.52	50
31.96	50
34.66	46
42.60	53
43.49	58

Structure:
```
data_K2V3Se5
_symmetry_space_group_name_H-M 'C 1 2/m 1'
_symmetry_Int_Tables_number 12
_symmetry_space_group_name_Hall '-C 2y'
_cell_length_a 14.7885
_cell_length_b 4.2447
_cell_length_c 8.5318
_cell_angle_alpha 90.00
_cell_angle_beta 109.93
_cell_angle_gamma 90.00
loop_
_atom_site_label
_atom_site_fract_x
_atom_site_fract_y
_atom_site_fract_z
K1 0.1765 0.0000 0.2139
V1 0.0000 0.0000 0.5000
V2 0.0500 0.5000 0.7610
Se1 0.0000 0.5000 0.0000
Se2 0.1024 0.5000 0.4656
Se3 0.1354 0.0000 0.7942
```

=====

3.
# Pr5ZnSn2
Simulated XRD peak list, λ = 1.5418 Å (Cu Kα). Input: the PBE geometry in Alexandria.
No peak broadening, texture or thermal motion is included.

Principal peaks in the range 2θ from 5° to 70°, by angle:
Position (°2θ)	Rel. int.
27.38	26
30.43	92
30.69	68
31.81	96
35.05	100
43.76	52
48.47	33
57.10	25

Structure:
```
data_Pr5ZnSn2
_symmetry_space_group_name_H-M 'C m c m'
_symmetry_Int_Tables_number 63
_symmetry_space_group_name_Hall '-C 2c 2'
_cell_length_a 5.8752
_cell_length_b 9.7769
_cell_length_c 17.4793
_cell_angle_alpha 90.00
_cell_angle_beta 90.00
_cell_angle_gamma 90.00
loop_
_atom_site_label
_atom_site_fract_x
_atom_site_fract_y
_atom_site_fract_z
Pr1 0.0000 0.0809 0.0897
Pr2 0.0000 0.2298 0.7500
Pr3 0.0000 0.4100 0.1052
Zn1 0.0000 0.1691 0.2500
Sn1 0.0000 0.2582 0.5688
```

=====

4.
# CsNiHg2Bi
Simulated XRD peak list, λ = 1.5418 Å (Cu Kα). Input: the PBE geometry in Alexandria.
No peak broadening, texture or thermal motion is included.

Principal peaks in the range 2θ from 5° to 70°, by angle:
Position (°2θ)	Rel. int.
29.05	100
33.35	50
34.30	23
47.88	18
48.59	35
56.98	31
58.24	15
60.21	19

Structure:
```
data_CsNiHg2Bi
_symmetry_space_group_name_H-M 'P 4/m m m'
_symmetry_Int_Tables_number 123
_symmetry_space_group_name_Hall '-P 4 2'
_cell_length_a 5.3736
_cell_length_b 5.3736
_cell_length_c 5.2290
_cell_angle_alpha 90.00
_cell_angle_beta 90.00
_cell_angle_gamma 90.00
loop_
_atom_site_label
_atom_site_fract_x
_atom_site_fract_y
_atom_site_fract_z
Cs1 0.0000 0.0000 0.0000
Ni1 0.5000 0.5000 0.5000
Hg1 0.0000 0.5000 0.5000
Bi1 0.5000 0.5000 0.0000
```

=====

5.
# Pm2PrHo6
Simulated XRD peak list, λ = 1.5418 Å (Cu Kα). Input: the PBE geometry in Alexandria.
No peak broadening, texture or thermal motion is included.

Principal peaks in the range 2θ from 5° to 70°, by angle:
Position (°2θ)	Rel. int.
28.18	100
29.37	14
33.69	55
36.63	60
43.65	13
49.16	30
57.62	26
60.89	22

Structure:
```
data_Pm2PrHo6
_symmetry_space_group_name_H-M 'R 3 m'
_symmetry_Int_Tables_number 160
_symmetry_space_group_name_Hall 'R 3 -2"'
_cell_length_a 7.4139
_cell_length_b 7.4139
_cell_length_c 19.0118
_cell_angle_alpha 90.00
_cell_angle_beta 90.00
_cell_angle_gamma 120.00
loop_
_atom_site_label
_atom_site_fract_x
_atom_site_fract_y
_atom_site_fract_z
Pm1 0.0000 0.0000 0.0000
- - -

## Done
1.
# Sm2ZnPdO6
Simulated XRD peak list, λ = 1.5418 Å (Cu Kα). Input: the PBE geometry in Alexandria.
No peak broadening, texture or thermal motion is included.

Principal peaks in the range 2θ from 5° to 70°, by angle:
Position (°2θ)	Rel. int.
25.16	18
30.77	19
32.17	100
32.90	37
45.66	17
51.42	15
58.22	17
58.32	16

Structure:
```
data_Sm2ZnPdO6
_symmetry_space_group_name_H-M 'P 1 21/c 1'
_symmetry_Int_Tables_number 14
_symmetry_space_group_name_Hall '-P 2ybc'
_cell_length_a 5.4451
_cell_length_b 5.8117
_cell_length_c 9.4982
_cell_angle_alpha 90.00
_cell_angle_beta 124.87
_cell_angle_gamma 90.00
loop_
_atom_site_label
_atom_site_fract_x
_atom_site_fract_y
_atom_site_fract_z
Sm1 0.2297 0.0733 0.2508
Zn1 0.5000 0.0000 0.0000
Pd1 0.0000 0.0000 0.5000
O1 0.1284 0.2016 0.9421
O2 0.2502 0.6926 0.9449
O3 0.3599 0.0387 0.7478
```

=====

2.
# K2V3Se5
Simulated XRD peak list, λ = 1.5418 Å (Cu Kα). Input: the PBE geometry in Alexandria.
No peak broadening, texture or thermal motion is included.

Principal peaks in the range 2θ from 5° to 70°, by angle:
Position (°2θ)	Rel. int.
12.73	100
13.72	48
28.11	74
28.52	50
31.96	50
34.66	46
42.60	53
43.49	58

Structure:
```
data_K2V3Se5
_symmetry_space_group_name_H-M 'C 1 2/m 1'
_symmetry_Int_Tables_number 12
_symmetry_space_group_name_Hall '-C 2y'
_cell_length_a 14.7885
_cell_length_b 4.2447
_cell_length_c 8.5318
_cell_angle_alpha 90.00
_cell_angle_beta 109.93
_cell_angle_gamma 90.00
loop_
_atom_site_label
_atom_site_fract_x
_atom_site_fract_y
_atom_site_fract_z
K1 0.1765 0.0000 0.2139
V1 0.0000 0.0000 0.5000
V2 0.0500 0.5000 0.7610
Se1 0.0000 0.5000 0.0000
Se2 0.1024 0.5000 0.4656
Se3 0.1354 0.0000 0.7942
```

=====

3.
# Pr5ZnSn2
Simulated XRD peak list, λ = 1.5418 Å (Cu Kα). Input: the PBE geometry in Alexandria.
No peak broadening, texture or thermal motion is included.

Principal peaks in the range 2θ from 5° to 70°, by angle:
Position (°2θ)	Rel. int.
27.38	26
30.43	92
30.69	68
31.81	96
35.05	100
43.76	52
48.47	33
57.10	25

Structure:
```
data_Pr5ZnSn2
_symmetry_space_group_name_H-M 'C m c m'
_symmetry_Int_Tables_number 63
_symmetry_space_group_name_Hall '-C 2c 2'
_cell_length_a 5.8752
_cell_length_b 9.7769
_cell_length_c 17.4793
_cell_angle_alpha 90.00
_cell_angle_beta 90.00
_cell_angle_gamma 90.00
loop_
_atom_site_label
_atom_site_fract_x
_atom_site_fract_y
_atom_site_fract_z
Pr1 0.0000 0.0809 0.0897
Pr2 0.0000 0.2298 0.7500
Pr3 0.0000 0.4100 0.1052
Zn1 0.0000 0.1691 0.2500
Sn1 0.0000 0.2582 0.5688
```

=====

4.
# CsNiHg2Bi
Simulated XRD peak list, λ = 1.5418 Å (Cu Kα). Input: the PBE geometry in Alexandria.
No peak broadening, texture or thermal motion is included.

Principal peaks in the range 2θ from 5° to 70°, by angle:
Position (°2θ)	Rel. int.
29.05	100
33.35	50
34.30	23
47.88	18
48.59	35
56.98	31
58.24	15
60.21	19

Structure:
```
data_CsNiHg2Bi
_symmetry_space_group_name_H-M 'P 4/m m m'
_symmetry_Int_Tables_number 123
_symmetry_space_group_name_Hall '-P 4 2'
_cell_length_a 5.3736
_cell_length_b 5.3736
_cell_length_c 5.2290
_cell_angle_alpha 90.00
_cell_angle_beta 90.00
_cell_angle_gamma 90.00
loop_
_atom_site_label
_atom_site_fract_x
_atom_site_fract_y
_atom_site_fract_z
Cs1 0.0000 0.0000 0.0000
Ni1 0.5000 0.5000 0.5000
Hg1 0.0000 0.5000 0.5000
Bi1 0.5000 0.5000 0.0000
```

=====

5.
# Pm2PrHo6
Simulated XRD peak list, λ = 1.5418 Å (Cu Kα). Input: the PBE geometry in Alexandria.
No peak broadening, texture or thermal motion is included.

Principal peaks in the range 2θ from 5° to 70°, by angle:
Position (°2θ)	Rel. int.
28.18	100
29.37	14
33.69	55
36.63	60
43.65	13
49.16	30
57.62	26
60.89	22

Structure:
```
data_Pm2PrHo6
_symmetry_space_group_name_H-M 'R 3 m'
_symmetry_Int_Tables_number 160
_symmetry_space_group_name_Hall 'R 3 -2"'
_cell_length_a 7.4139
_cell_length_b 7.4139
_cell_length_c 19.0118
_cell_angle_alpha 90.00
_cell_angle_beta 90.00
_cell_angle_gamma 120.00
loop_
_atom_site_label
_atom_site_fract_x
_atom_site_fract_y
_atom_site_fract_z
Pm1 0.0000 0.0000 0.0000